Exercise:
Please set down everything below without additions.

Input:
********
Diffraction record for PrHgP. The powder diffractogram is simulated, not measured: it uses a cell relaxed with PBE and Cu Kα.
Neutral-atom scattering factors, no anomalous dispersion.

Main lines, most intense first (10° ≤ 2θ ≤ 80°):
(0 1 5), 27.18°, d 3.281, intensity 100
(1 1 0), 36.62°, d 2.454, intensity 89
(1 1 9), 48.85°, d 1.864, intensity 59
(0 0 3), 10.29°, d 8.599, intensity 51
(1 0 4), 25.09°, d 3.549, intensity 38
(0 0 9), 31.20°, d 2.866, intensity 34
(0 1 2), 22.02°, d 4.037, intensity 34
(2 0 5), 46.20°, d 1.965, intensity 25
(1 2 5), 60.34°, d 1.534, intensity 22
(0 1 14), 54.26°, d 1.691, intensity 21

Cell and atoms:
Unit cell a=4.9082 b=4.9082 c=25.7973 alpha=90.00 beta=90.00 gamma=120.00
Space group R-3m (No. 166, hexagonal axes)
Asymmetric unit:
Pr1 0.0000 0.0000 0.1062 x6
Hg1 0.0000 0.0000 0.3214 x6
P1 0.0000 0.0000 0.2156 x6

* * * * *

Computed powder XRD pattern
Compound: Sm12HgPd6
Radiation: Cu Ka
Structure: a structure optimized by DFT (GGA-PBE)
Neutral-atom scattering factors, no anomalous dispersion.

Top 10 peaks for 10 to 90 degrees two-theta, by angle:
index  2theta  d (Å)  I (rel.)
3 0 1  27.8  3.211  14
2 2 2  30.5  2.931  26
3 1 2  33.0  2.714  100
4 0 0  35.4  2.539  15
5 0 1  45.5  1.992  20
5 3 0  52.5  1.742  19
6 0 0  54.2  1.692  13
5 2 3  55.8  1.647  29
5 3 4  64.9  1.436  16
7 0 5  81.5  1.180  13

Unit cell a=10.1550 b=10.1550 c=10.1550 alpha=90.00 beta=90.00 gamma=90.00
Space group Im-3 (No. 204)
Inequivalent atoms, fractional coordinates:
Sm1 0.0000 0.2973 0.1831 (multiplicity 24)
Hg1 0.0000 0.0000 0.0000 (multiplicity 2)
Pd1 0.0000 0.1349 0.5000 (multiplicity 12)
********

Completed:
Diffraction record for PrHgP. The powder diffractogram is simulated, not measured: it uses a cell relaxed with PBE and Cu Kα.
Neutral-atom scattering factors, no anomalous dispersion.

Main lines, most intense first (10° ≤ 2θ ≤ 80°):
(0 1 5), 27.18°, d 3.281, intensity 100
(1 1 0), 36.62°, d 2.454, intensity 89
(1 1 9), 48.85°, d 1.864, intensity 59
(0 0 3), 10.29°, d 8.599, intensity 51
(1 0 4), 25.09°, d 3.549, intensity 38
(0 0 9), 31.20°, d 2.866, intensity 34
(0 1 2), 22.02°, d 4.037, intensity 34
(2 0 5), 46.20°, d 1.965, intensity 25
(1 2 5), 60.34°, d 1.534, intensity 22
(0 1 14), 54.26°, d 1.691, intensity 21

Cell and atoms:
Unit cell a=4.9082 b=4.9082 c=25.7973 alpha=90.00 beta=90.00 gamma=120.00
Space group R-3m (No. 166, hexagonal axes)
Asymmetric unit:
Pr1 0.0000 0.0000 0.1062 x6
Hg1 0.0000 0.0000 0.3214 x6
P1 0.0000 0.0000 0.2156 x6

* * * * *

Computed powder XRD pattern
Compound: Sm12HgPd6
Radiation: Cu Ka
Structure: a structure optimized by DFT (GGA-PBE)
Neutral-atom scattering factors, no anomalous dispersion.

Top 10 peaks for 10 to 90 degrees two-theta, by angle:
index  2theta  d (Å)  I (rel.)
3 0 1  27.8  3.211  14
2 2 2  30.5  2.931  26
3 1 2  33.0  2.714  100
4 0 0  35.4  2.539  15
5 0 1  45.5  1.992  20
5 3 0  52.5  1.742  19
6 0 0  54.2  1.692  13
5 2 3  55.8  1.647  29
5 3 4  64.9  1.436  16
7 0 5  81.5  1.180  13

Unit cell a=10.1550 b=10.1550 c=10.1550 alpha=90.00 beta=90.00 gamma=90.00
Space group Im-3 (No. 204)
Inequivalent atoms, fractional coordinates:
Sm1 0.0000 0.2973 0.1831 (multiplicity 24)
Hg1 0.0000 0.0000 0.0000 (multiplicity 2)
Pd1 0.0000 0.1349 0.5000 (multiplicity 12)